(Battleplan 30: 12/8/16)
(Mail exchange retrieved from an archived investigation into the Mistress of Sciences, Lady Vurien, performed by Deande. Archived record is dated 19905.12 – .19)
From: b.z.lucavi@archsci
To: n.d.vurien@archsci
Subject: Approval Request
Lady Vurien,
At the urging of the Imperial Arch-Sciences division council, I’ve assembled a research team (despite my qualification to fill all necessary roles myself) and I’m prepared to move forward with a project, pending the council’s approval and grant disbursal.
Please see the attached proposal for an AI developmental program I’ve been tinkering with.
[Project JANUS: Jennerit Autonomous Networked Übermind Simulacrum]
From: n.d.vurien@archsci
To: b.z.lucavi@archsci
Subject: Re: Approval Request
Dr. Lucavi,
While your youthful zeal is appreciated, it must be tempered with pragmatism. The experiments outlined in your proposal are monumental in scope; the costs alone are deterrent enough. Weighed along with the societal risks posed by a ”cybernetic viral intelligence” (as you so charmingly put it), I’ve half a mind to issue a formal rebuke for such audacity.
Your proposal is denied.
We’ve enough troubles with AI as it stands, thanks to those plutocratic half-wits in the LLC.
From: b.z.lucavi@archsci
To: n.d.vurien@archsci
Subject: Approval Request (REVISED)
Lady Vurien,
I feel it incumbent upon me to mention that in the face of others’ failure, we stand to gain all the more through success.
However, per your instruction, I have significantly reduced the scope of my latest proposal with comparison to the previous.
The attached proposal outlines what should be a much more amenable undertaking.
[Project NERGAL: Nullification of Entropic Reduction and Geostrophically Appended Longevity]
From: n.d.vurien@archsci
To: b.z.lucavi@archsci
Subject: Re: Approval request (REVISED)
Dr. Lucavi,
What you “feel” incumbent upon you is irrelevant. You were not granted your station for your feelings, which are no doubt many, varied, and hyperbolic. You are here to work.
Bear that in your adolescent mind when you find yourself before the Arch-Sciences Tribunal for your most recent proposal. Undoing the Rite of Sustainment? What you suggest borders on treason.
Present yourself tomorrow morning, and consider yourself lucky that you are ineligible for excoriation, given your…condition. I continue to await a measured and reasoned proposal.
Recall the 4th Ray of the Astranogyon: “The difference between life and obliteration is but a respectful distance from the stars.”
I recommend you consider the merits of your fellow researchers’ projects, such as Dr. Drachus’ work in neometallurgic assault frame compositions.
From: b.z.lucavi@archsci
To: n.d.vurien@archsci
Subject: Approval Request (With Sugar on Top)
Most Esteemed Lady Vurien,
I would love nothing more than to work. To do so, I require resources outlined in my grant proposals.
After your earlier message inspired me to reflect on the Astranogyon, I began expanding upon some intriguing variances possible within the corpus of “holotwin” research.
[Project KALFU: Karyon-Appropriative Luminal Fabrication Unity]
**Data records that have nothing to do with the entry:**
____________
# 1
MnTcBr3 (PBE, optimized geometry); Fermi-level density of states = 4.51 states/eV/cell; E_form (uncorrected) = 43.57 kJ per mole of atoms; offset from the most stable computed form = 0.000 eV/atom; space-group type = Pm-3m, No. 221; magnetic moment = 8.9 μB/f.u.; mass density = 4.545 Mg/m³
1.0
-3.940 -0.283 -3.435
-0.866 -4.968 1.403
-3.336 1.625 3.693
Br Mn Tc
3 1 1
Direct
0.500 0.000 0.000
0.000 0.500 0.000
0.000 0.000 0.500
0.500 0.500 0.500
0.000 0.000 0.000

# 2
Mn2TcBr (PBE, optimized geometry); Fermi-level density of states = 4.12 states/eV/cell; E_form (uncorrected) = 85.62 kJ per mole of atoms; offset from the most stable computed form = 0.589 eV/atom; space-group type = I4/mmm, No. 139; magnetic moment = 6.4 μB/f.u.; mass density = 7.547 Mg/m³
1.0
-4.665 0.044 1.206
-2.135 -3.587 -2.406
3.944 -0.006 2.768
Mn Tc Br
2 1 1
Direct
0.500 0.500 0.000
0.000 0.000 0.000
0.250 0.750 0.500
0.750 0.250 0.500

# 3
Mn2TcBr (PBE, optimized geometry); Fermi-level density of states = 6.75 states/eV/cell; E_form (uncorrected) = 103.58 kJ per mole of atoms; offset from the most stable computed form = 0.775 eV/atom; space-group type = I-42d, No. 122; magnetic moment = 0.0 μB/f.u.; mass density = 6.364 Mg/m³
1.0
-2.502 1.289 -4.661
-0.270 -5.277 -1.314
-5.877 -2.341 -0.673
Br Mn Tc
2 4 2
Direct
0.250 0.750 0.500
0.500 0.500 0.000
0.114 0.625 0.250
0.636 0.125 0.250
0.875 0.886 0.750
0.375 0.364 0.750
0.750 0.250 0.500
0.000 0.000 0.000

# 4
MnTc4Br (PBE, optimized geometry); Fermi-level density of states = 6.26 states/eV/cell; E_form (uncorrected) = 85.86 kJ per mole of atoms; space-group type = F-43m, No. 216; magnetic moment = 4.0 μB/f.u.; mass density = 8.787 Mg/m³
1.0
0.000 3.679 3.679
3.679 0.000 3.679
3.679 3.679 0.000
Tc Mn Br
4 1 1
Direct
0.625 0.625 0.625
0.625 0.625 0.126
0.126 0.625 0.625
0.625 0.126 0.625
0.000 0.000 0.000
0.250 0.250 0.250

# 5
Mn2TcBr (PBE, optimized geometry); Fermi-level density of states = 5.12 states/eV/cell; E_form (uncorrected) = 76.84 kJ per mole of atoms; offset from the most stable computed form = 0.498 eV/atom; space-group type = Pmmm, No. 47; magnetic moment = 5.6 μB/f.u.; mass density = 7.825 Mg/m³
1.0
3.019 0.000 0.000
0.000 4.604 0.000
0.000 0.000 4.394
Br Tc Mn
1 1 2
Direct
0.000 0.500 0.500
0.500 0.000 0.500
0.000 0.000 0.000
0.500 0.500 0.000

# 6
MnTcBr (PBE, optimized geometry); Fermi-level density of states = 2.05 states/eV/cell; E_form (uncorrected) = 43.34 kJ per mole of atoms; offset from the most stable computed form = 0.000 eV/atom; space-group type = P3m1, No. 156; magnetic moment = 2.6 μB/f.u.; mass density = 7.636 Mg/m³
1.0
-2.018 -1.279 -1.981
2.402 -1.659 1.056
-3.372 -1.911 4.669
Tc Mn Br
1 1 1
Direct
0.333 0.667 0.635
0.667 0.333 0.347
0.000 0.000 0.019

# 7
____________
**Back to the entry:**
From: n.d.vurien@archsci
To: b.z.lucavi@archsci
Subject: Approval Request (With Sugar on Top)
Project KALFU is two levels beyond your clearance—it is only by your mother’s misguided beneficence that you retain your position.
Tread carefully, child. You’ve no doubt drawn the attention of the Spymistress, and I will not have this division mired in controversy should an investigation be opened.
From: b.z.lucavi@archsci
To: n.d.vurien@archsci
Subject: Important Proposal
O, Wise and Venerable Lady Vurien,
See attached.
[Project LIMOS: Lingual Impulse Modulation by Olfactory Supersession]
From: n.d.vurien@archsci
To: b.z.lucavi@archsci
Subject: Important Proposal
Is this a proposal to research the effects of chocolate on the behavior of Arch-Sciences researchers?
From: b.z.lucavi@archsci
To: n.d.vurien@archsci
Subject: Re: Re: Important Proposal
Everybody likes chocolate.
From: n.d.vurien@archsci
To: b.z.lucavi@archsci
Subject: Re: Re: Re: Important Proposal
Dr. Lucavi,
We are not going to pay you to eat chocolate.
Find work that is suited to the Empire’s needs, or find work elsewhere.
From: b.z.lucavi@archsci
To: n.d.vurien@archsci
Subject: Place to Stand and a Lever
Lady Vurien,
It’s clear the Arch-Sciences division council is of single-minded vision with regard to the application of research. The only projects that get funding around here are military and defense contracts.
To that end, I’m petitioning for the renewal of the late Dr. Elzer’s work in genomic modification.
Grant me and my team your endorsement and funding, and we will elevate the Jennerit both militarily and societally.
[Project PHALANX: Phenotypic Alteration, Augmentation, and Neuronal Xenogenesis]
## Materials data, kept here for reference
No. 1
First-principles (PBE-GGA) data for a geometry-optimized HfTlZn structure, as listed in the Alexandria database.

It has space group I4mm (No. 107), with a = 3.226 Å, b = 3.226 Å, c = 12.039 Å, α = 90.00°, β = 90.00° and γ = 90.00°. The inequivalent atoms are Hf at (0.000, 0.000, 0.000), Tl at (0.000, 0.000, 0.309) and Zn at (0.000, 0.000, 0.641).

The energy above the most stable polymorph in this dataset is 0.00 eV per formula unit. The calculation puts the formation energy from the elements at 29 kJ/mol of formula units. The total moment comes out at 0.000 μB per atom. As for the total energy: -4.43 eV/atom.

No. 2
First-principles (PBE-GGA) data for a geometry-optimized OsPtSe structure, as listed in the Alexandria database.

It has space group P3m1 (No. 156), with a = 4.0065 Å, b = 4.0065 Å, c = 3.5847 Å, α = 90.00°, β = 90.00° and γ = 120.00°. The inequivalent atoms are Os at (0.0000, 0.0000, 0.0000), Pt at (0.6667, 0.3333, 0.4551) and Se at (0.3333, 0.6667, 0.8337).

The raw formation energy is 0.466 eV per atom. The energy above the most stable polymorph in this dataset is 0.29 eV per formula unit. The total moment comes out at 0.000 μB per atom. As for the total energy: -6.45 eV/atom.

No. 3
First-principles (PBE-GGA) data for a geometry-optimized PrZnIn2Au2 structure, as listed in the Alexandria database.

It has space group I4/mmm (No. 139), with a = 5.441 Å, b = 5.441 Å, c = 11.174 Å, α = 90.00°, β = 90.00° and γ = 90.00°. The inequivalent atoms are Pr at (0.000, 0.000, 0.000), Zn at (0.000, 0.000, 0.500), In at (0.000, 0.500, 0.250) and Au at (0.000, 0.000, 0.278).

The calculation puts the formation energy from the elements at -59 kJ/mol of formula units. The total moment comes out at 0.000 μB per atom. As for the total energy: -3.12 eV/atom.

No. 4
First-principles (PBE-GGA) data for a geometry-optimized TiIrRh6 structure, as listed in the Alexandria database.

It has space group C2/m (No. 12), with a = 7.643 Å, b = 5.126 Å, c = 7.028 Å, α = 90.00°, β = 109.28° and γ = 90.00°. The inequivalent atoms are Ti at (0.000, 0.000, 0.000), Ir at (0.000, 0.500, 0.500), Rh at (0.137, 0.000, 0.429) and Rh at (0.209, 0.240, 0.805).

The energy above the most stable polymorph in this dataset is 3.85 eV per formula unit. The calculation puts the formation energy from the elements at 151 kJ/mol of formula units. The total moment comes out at 0.000 μB per atom. As for the total energy: -7.41 eV/atom.
From: n.d.vurien@archsci
To: b.z.lucavi@archsci
Subject: Re: Place to Stand and a Lever
Was that so hard?
Your proposal is approved; you’ll be working out of division lab number 42.
I leave the preparations of the space to your team. Let me know if you require more personnel or equipment. I’ve also petitioned the council for an additional stipend to be allotted to you monthly as compensation for the personal risk outlined in your proposal.
Lastly, you’ll be sharing a campus with Lord…Nert, I believe? Whichever buffoon is the newest project manager of that money pit they call Project HOTEP. Perhaps you can help one another; I see the previous project manager cited “structural deconstitution” as an ongoing problem with her subjects.
If you’re half as good as you say, you should have no problem supplying something of hardier stock from PHALANX.
One hand scours the other, so the saying goes.
From: b.z.lucavi@archsci
To: n.d.vurien@archsci
Subject: Re: Re: Place to Stand and a Lever
My Lady,
Hedronic Oscillation by Trans-Euclidian Phantasma was the focus of my 3rd dissertation. I assume Nert’s using precursor subjects from Jennar? I’ve said time and again, our focus on homogeny will be our death.
But don’t worry—my work will change all of that.
From: n.d.vurien@archsci
To: b.z.lucavi@archsci
Subject: (no subject)
I expect great things of you before long.
May the Mother guide you.